== Job ==
Start at the top of the data further down and quote each line, ending with the one that has "-2.296270 -0.831849".
== Contents ==
<<<
[1]
The following is a quantum chemistry calculation of a structure of composition C21H28ClKN4O10S in a non-equilibrium geometry, from OMol25.

CARTESIAN COORDINATES (ANGSTROEM)
1 K -0.316441 0.241800 3.012633
2 C 0.829361 -2.797047 4.784483
3 C 1.336970 -2.891304 3.377178
4 C 0.724838 -3.760265 2.480049
5 C 1.124519 -3.836641 1.157809
6 C 0.412251 -4.732948 0.192744
7 C 2.157466 -3.008581 0.729264
8 C 2.763874 -2.111592 1.590512
9 C 3.807002 -1.159344 1.094389
10 C 2.360217 -2.073074 2.920658
11 H 0.966321 -3.741827 5.316056
12 H -0.239751 -2.582105 4.766709
13 H 1.332125 -2.009167 5.342049
14 H -0.123041 -4.340948 2.822820
15 H 0.573653 -5.790187 0.417163
16 H 0.748957 -4.557717 -0.827388
17 H -0.662422 -4.560652 0.222689
18 H 2.444997 -3.016494 -0.315225
19 H 4.791067 -1.380432 1.515248
20 H 3.567129 -0.135012 1.372983
21 H 3.883549 -1.202399 0.009568
22 H 2.816706 -1.365508 3.602665
23 O -3.361248 -0.030098 0.422539
24 C -2.832766 0.111887 1.522315
25 O -2.253441 1.170150 1.931639
26 C -2.817393 -1.104181 2.480306
27 O -3.830410 -1.395663 3.091786
28 O -1.682515 -1.693337 2.552836
29 O 2.290096 2.702242 5.182878
30 Cl 1.868102 1.394103 4.763483
31 O 2.731321 0.377503 5.327185
32 O 0.480071 1.149876 5.191854
33 O 1.903776 1.302992 3.294676
34 C -2.052670 2.352362 -1.236975
35 N -1.572295 3.047996 -0.065958
36 C -0.945322 4.196579 -0.095709
37 S -0.675424 5.196396 1.250916
38 N -0.489060 4.606958 -1.323297
39 C 0.087285 3.687143 -2.282040
40 H -2.703455 1.555940 -0.872571
41 H -1.239610 1.886331 -1.813492
42 H -2.595440 3.038658 -1.890819
43 H -1.791352 2.566990 0.847063
44 H 0.027756 5.471576 -1.203211
45 H -0.667880 3.153236 -2.872572
46 H 0.736582 2.946451 -1.798993
47 H 0.689104 4.276053 -2.973867
48 O -0.986757 3.070796 -5.913277
49 C -1.316806 1.727389 -6.158948
50 N -1.383842 0.929448 -4.959927
51 C -0.234517 0.813220 -4.218288
52 O 0.839004 1.278839 -4.622415
53 C -0.358704 0.095835 -2.900304
54 C -1.477183 -0.668259 -2.558788
55 C -1.538371 -1.219725 -1.295680
56 C -0.460644 -0.993478 -0.431215
57 N 0.614066 -0.286182 -0.753929
58 C 0.655960 0.251051 -1.973815
59 H -0.108179 3.049128 -5.498801
60 H -0.584376 1.264043 -6.830108
61 H -2.303784 1.721191 -6.628134
62 H -2.255913 0.920438 -4.454587
63 H -2.296270 -0.831849 -3.251214
64 H -2.401556 -1.749170 -0.932296
65 H -0.530415 -1.376808 0.582818
66 H 1.525129 0.847392 -2.216123

Forces on the atoms, in the same order (eV/Å):
0.3598 -0.1083 -0.1142
-0.0655 0.0037 0.1168
0.0167 -0.0048 -0.1180
-0.0680 -0.0905 0.0999
0.1138 0.1122 0.0978
-0.0887 -0.2055 -0.1358
-0.1252 -0.0236 -0.0723
0.0645 0.0443 0.0465
0.2350 0.1119 -0.0726
-0.0301 -0.0063 0.1040
0.0122 -0.0227 0.0217
-0.0895 0.0138 -0.0063
0.0568 0.0475 0.0114
-0.0687 -0.0339 -0.0316
0.0321 -0.0233 0.0453
0.0397 0.0277 -0.0898
-0.1085 0.0557 0.0323
0.0316 -0.0022 -0.0932
0.0182 -0.0496 0.0221
-0.0975 0.0729 0.0608
0.0207 -0.0017 -0.0892
0.0039 0.0605 0.0017
-0.7072 -0.1788 -1.1623
0.0684 0.1672 0.8018
-0.3076 0.3120 -0.2706
0.9490 -0.0436 -0.3077
-1.1318 -0.2333 0.5265
-0.3752 -0.3954 -0.3265
-0.0435 -0.2902 -0.0271
-0.4566 0.1217 -0.2788
-0.1470 0.1863 -0.0804
1.2443 0.2904 0.2086
0.6127 0.2408 1.0641
-0.0754 -0.6054 0.0862
-0.3069 -0.9860 0.9029
0.3471 0.5770 0.3692
-0.0739 -0.1627 -0.2255
0.0685 0.6503 -0.1453
0.3637 0.0947 -0.4843
-0.1288 0.0304 0.0027
-0.7039 0.1405 0.5641
-0.0803 0.0334 -0.0390
-0.0428 0.3313 -0.6275
-0.1836 -0.2471 -0.1067
0.4577 0.4750 0.0410
-0.0781 0.0714 -0.0792
0.0987 -0.0151 0.0095
0.1528 0.1064 0.0091
-0.0764 -0.0332 -0.1129
0.1842 0.1073 0.0670
0.7155 -0.1872 0.4020
-0.9351 -0.3114 0.1236
-0.0223 0.1340 -0.9866
0.0071 -0.2584 0.2284
0.4144 0.2218 -0.1978
-0.4103 -0.0645 0.1024
0.1907 0.1554 -0.1416
0.0627 -0.2631 0.2541
-0.1358 -0.0118 -0.0811
-0.0888 0.0491 0.0786
0.1553 -0.0070 0.0241
0.0400 -0.0478 0.0261
0.0697 0.0589 -0.0250
-0.0728 -0.0785 0.0010
0.0679 -0.1124 0.0555
0.0504 -0.0006 -0.0803
>>>
== Result ==
[1]
The following is a quantum chemistry calculation of a structure of composition C21H28ClKN4O10S in a non-equilibrium geometry, from OMol25.

CARTESIAN COORDINATES (ANGSTROEM)
1 K -0.316441 0.241800 3.012633
2 C 0.829361 -2.797047 4.784483
3 C 1.336970 -2.891304 3.377178
4 C 0.724838 -3.760265 2.480049
5 C 1.124519 -3.836641 1.157809
6 C 0.412251 -4.732948 0.192744
7 C 2.157466 -3.008581 0.729264
8 C 2.763874 -2.111592 1.590512
9 C 3.807002 -1.159344 1.094389
10 C 2.360217 -2.073074 2.920658
11 H 0.966321 -3.741827 5.316056
12 H -0.239751 -2.582105 4.766709
13 H 1.332125 -2.009167 5.342049
14 H -0.123041 -4.340948 2.822820
15 H 0.573653 -5.790187 0.417163
16 H 0.748957 -4.557717 -0.827388
17 H -0.662422 -4.560652 0.222689
18 H 2.444997 -3.016494 -0.315225
19 H 4.791067 -1.380432 1.515248
20 H 3.567129 -0.135012 1.372983
21 H 3.883549 -1.202399 0.009568
22 H 2.816706 -1.365508 3.602665
23 O -3.361248 -0.030098 0.422539
24 C -2.832766 0.111887 1.522315
25 O -2.253441 1.170150 1.931639
26 C -2.817393 -1.104181 2.480306
27 O -3.830410 -1.395663 3.091786
28 O -1.682515 -1.693337 2.552836
29 O 2.290096 2.702242 5.182878
30 Cl 1.868102 1.394103 4.763483
31 O 2.731321 0.377503 5.327185
32 O 0.480071 1.149876 5.191854
33 O 1.903776 1.302992 3.294676
34 C -2.052670 2.352362 -1.236975
35 N -1.572295 3.047996 -0.065958
36 C -0.945322 4.196579 -0.095709
37 S -0.675424 5.196396 1.250916
38 N -0.489060 4.606958 -1.323297
39 C 0.087285 3.687143 -2.282040
40 H -2.703455 1.555940 -0.872571
41 H -1.239610 1.886331 -1.813492
42 H -2.595440 3.038658 -1.890819
43 H -1.791352 2.566990 0.847063
44 H 0.027756 5.471576 -1.203211
45 H -0.667880 3.153236 -2.872572
46 H 0.736582 2.946451 -1.798993
47 H 0.689104 4.276053 -2.973867
48 O -0.986757 3.070796 -5.913277
49 C -1.316806 1.727389 -6.158948
50 N -1.383842 0.929448 -4.959927
51 C -0.234517 0.813220 -4.218288
52 O 0.839004 1.278839 -4.622415
53 C -0.358704 0.095835 -2.900304
54 C -1.477183 -0.668259 -2.558788
55 C -1.538371 -1.219725 -1.295680
56 C -0.460644 -0.993478 -0.431215
57 N 0.614066 -0.286182 -0.753929
58 C 0.655960 0.251051 -1.973815
59 H -0.108179 3.049128 -5.498801
60 H -0.584376 1.264043 -6.830108
61 H -2.303784 1.721191 -6.628134
62 H -2.255913 0.920438 -4.454587
63 H -2.296270 -0.831849 -3.251214